What’s the winning recipe for the Conservatives?
The Conservative Party of Canada leadership race is now in full swing with the main candidates tweeting anti-Trudeau comments and policy statements in hopes to both rile up support from current Conservative Party members, and sell new membership cards to build a fresh horde of supporters for the June 2020 leadership convention in Toronto.
With news this week that former Stephen Harper cabinet minister John Baird would not run for the leadership, it appears likely that this race will come down to either Peter MacKay or Erin O’Toole (although, as Paul Wells wrote earlier this month, Conservatives should perhaps take a second look at candidate Marilyn Gladu).
Among the daily tweets sent by the MacKay communication team over the last week, we notice MacKay has focused mostly on current events, such as the anti-pipeline blockades and protests, Justin Trudeau’s trip to Africa, the ratification of CUSMA (or NAFTA 2.0), and the importance of conscience rights for medical practitioners.
PM Trudeau's pandering has hit a new low. After pathetic efforts to buy African votes to sit on the UN Security Council, he bows to Iranian Minister Zarif, the regime responsible for the deaths of 57 Canadians. 1/2
— Peter MacKay (@PeterMacKay) February 15, 2020
MacKay’s main rival, Durham MP Erin O’Toole, also expressed his desire to see an end to the blockades (“I’ll stand firm against eco-extremists“), but has mainly focused his message on safe conservative talking points, such as describing himself as “The anti-Trudeau”, and detailing his plan to defund the CBC (by as much as 50 per cent according to this video he posted).
It should be noted, however, that O’Toole has been using language noticeably more combative than MacKay: “Take Canada back”, “Enough is enough”, “It’s time we start fighting”, and “I’m not the media’s candidate” (Incidentally, in his latest column on the matter, Stephen Maher described O’Toole’s words about the media favouring MacKay as “codswallop”—a word I honestly had to look up, and which will now be part of my regular lexicon.)
The anti-Trudeau.
Join us and let's take Canada back: https://t.co/Jx7lTV0Xxe pic.twitter.com/FcIJxqaERw
— Erin O'Toole (@erinotoole) February 9, 2020
**Misplaced materials data**
-- begin --
# 1
# GGA-PBE GdTmZnSn, relaxed
data_GdTmZnSn
_space_group_name_H-M_alt 'F -4 3 m'
_space_group_IT_number 216
_space_group_name_Hall 'F -4 2 3'
_cell_length_a 7.328
_cell_length_b 7.328
_cell_length_c 7.328
_cell_angle_alpha 90.00
_cell_angle_beta 90.00
_cell_angle_gamma 90.00
loop_
_atom_site_label
_atom_site_type_symbol
_atom_site_fract_x
_atom_site_fract_y
_atom_site_fract_z
Gd1 Gd 0.000 0.000 0.000
Tm1 Tm 0.000 0.000 0.500
Zn1 Zn 0.250 0.250 0.250
Sn1 Sn 0.250 0.250 0.750
# raw total energy	-103.145	eV/cell
# energy of formation	-0.4892	eV/atom

---

# 2
# GGA-PBE GdUSn2, relaxed
data_GdUSn2
_space_group_name_H-M_alt 'R -3 m'
_space_group_IT_number 166
_space_group_name_Hall '-R 3 2"'
_cell_length_a 3.2462
_cell_length_b 3.2462
_cell_length_c 35.6468
_cell_angle_alpha 90.00
_cell_angle_beta 90.00
_cell_angle_gamma 120.00
loop_
_atom_site_label
_atom_site_type_symbol
_atom_site_fract_x
_atom_site_fract_y
_atom_site_fract_z
Gd1 Gd 0.0000 0.0000 0.0000
U1 U 0.0000 0.0000 0.5000
Sn1 Sn 0.0000 0.0000 0.0891
# raw total energy	-98.500	eV/cell
# E above lowest polymorph	42.7	kJ per mole of atoms
# energy of formation	0.1354	eV/atom

---

# 3
# GGA-PBE GdUSn2, relaxed
data_GdUSn2
_space_group_name_H-M_alt 'P 4/m m m'
_space_group_IT_number 123
_space_group_name_Hall '-P 4 2'
_cell_length_a 3.996
_cell_length_b 3.996
_cell_length_c 6.636
_cell_angle_alpha 90.00
_cell_angle_beta 90.00
_cell_angle_gamma 90.00
loop_
_atom_site_label
_atom_site_type_symbol
_atom_site_fract_x
_atom_site_fract_y
_atom_site_fract_z
Gd1 Gd 0.000 0.000 0.000
U1 U 0.000 0.000 0.500
Sn1 Sn 0.500 0.500 0.248
# raw total energy	-34.441	eV/cell
# E above lowest polymorph	3.9	kJ per mole of atoms
-- stop --
So what is the Conservative winning recipe in 2020? In January, I wrote an analysis of a Léger poll that focused on what Canadians thought about policy and personality traits for the new Conservative leader. For instance, the data suggested the CPC would take a tremendous risk by electing a leader with social conservative views—a significantly greater fraction of respondents, including CPC supporters, believe that the party should elect a pro-choice and LGBT-friendly leader.
However, while these policy choices have garnered a lot of media attention (and will undoubtedly storm back during the next general election campaign), they may not matter much, if at all, to the CPC leadership race. According to Frank Graves of EKOS Research Associates, “the party knows where it is and how it got there. It’s the strategists and media who are living in something that looks a lot like a state of denial.” Commenting on its latest data of the Canadian electorate, Graves states that: “As in the U.K. and the U.S., authoritarian or ordered populism has polarized Canada into two incommensurable camps.”
Such polarization is neither new to Canada nor to many western democracies. But with little (and narrowing) common ground to be found between liberals and conservatives—in broader terms than just parties—the big tent coalitions that shaped Canada’s political landscape for most of the 20th century have, it seems, mostly disappeared.
/*
## Zn2CuIr (PBE-GGA)

Data for a relaxed Zn2CuIr crystal.

Results
ρ = 11.79 g/cm3
DOS at the Fermi energy = 2.2 states/eV/cell
DFT total energy = -4.05 eV per atom
Formation energy = -0.69 eV per formula unit

```
data_Zn2CuIr
_chemical_formula_sum 'Zn4 Cu2 Ir2'
_symmetry_space_group_name_H-M 'I 4/m m m'
_symmetry_Int_Tables_number 139
_symmetry_space_group_name_Hall '-I 4 2'
_cell_length_a 3.903
_cell_length_b 3.903
_cell_length_c 7.149
_cell_angle_alpha 90.00
_cell_angle_beta 90.00
_cell_angle_gamma 90.00
loop_
_atom_site_label
_atom_site_type_symbol
_atom_site_fract_x
_atom_site_fract_y
_atom_site_fract_z
Zn1 Zn 0.000 0.500 0.250
Cu1 Cu 0.000 0.000 0.000
Ir1 Ir 0.000 0.000 0.500
```

~~~~~

Entry 1:
A plane-wave DFT calculation with GGA-PBE was carried out for crystalline PaTiMnGa at its relaxed geometry.

Lattice parameters (Å, degrees): 4.5194 4.5194 4.5194 60.00 60.00 60.00
Sites, in units of the cell vectors:
Pa: 0.0000 0.0000 0.0000
Ti: 0.2500 0.2500 0.2500
Mn: 0.7500 0.7500 0.7500
Ga: 0.5000 0.5000 0.5000

theoretical density = 10.3 g/cm3
SG = No. 216
DFT formation energy = -14.3 kJ per mole of atoms
total magnetic moment = 0.0 μB per cell
crystal system = cubic

Entry 2:
A plane-wave DFT calculation with GGA-PBE was carried out for crystalline PmNdZnSb at its relaxed geometry.

Lattice parameters (Å, degrees): 5.3405 5.3405 5.3405 60.00 60.00 60.00
Sites, in units of the cell vectors:
Pm: 0.0000 0.0000 0.0000
Nd: 0.5000 0.5000 0.5000
Zn: 0.7500 0.7500 0.7500
Sb: 0.2500 0.2500 0.2500

theoretical density = 7.3 g/cm3
formation energy without anion corrections = -0.58 eV/atom
SG = No. 216
total magnetic moment = 0.0 μB per cell
crystal system = cubic

Entry 3:
A plane-wave DFT calculation with GGA-PBE was carried out for crystalline RePd2Pt2 at its relaxed geometry.

Lattice parameters (Å, degrees): 6.6260 6.6260 3.7825 90.00 90.00 90.00
Sites, in units of the cell vectors:
Re: 0.0000 0.0000 0.0000
Re: 0.5000 0.5000 0.0000
Pd: 0.1603 0.3397 0.5000
Pd: 0.3397 0.8397 0.5000
Pd: 0.6603 0.1603 0.5000
Pd: 0.8397 0.6603 0.5000
Pt: 0.1410 0.6410 0.0000
Pt: 0.3590 0.1410 0.0000
Pt: 0.6410 0.8590 0.0000
Pt: 0.8590 0.3590 0.0000

theoretical density = 15.8 g/cm3
SG = No. 127
DFT formation energy = 39.7 kJ per mole of atoms
total magnetic moment = 0.0 μB per cell
crystal system = tetragonal

Entry 4:
A plane-wave DFT calculation with GGA-PBE was carried out for crystalline La2Ga4Ni3Ir at its relaxed geometry.

Lattice parameters (Å, degrees): 4.2404 4.2404 10.0227 90.00 90.00 90.00
Sites, in units of the cell vectors:
La: 0.0000 0.5000 0.2496
La: 0.5000 0.0000 0.7504
Ga: 0.0000 0.0000 0.0000
Ga: 0.0000 0.5000 0.6312
Ga: 0.5000 0.0000 0.3688
Ga: 0.5000 0.5000 0.0000
Ni: 0.0000 0.5000 0.8743
Ni: 0.5000 0.0000 0.1257
Ni: 0.5000 0.5000 0.5000
Ir: 0.0000 0.0000 0.5000

theoretical density = 8.5 g/cm3
SG = No. 115
DFT formation energy = -58.7 kJ per mole of atoms
total magnetic moment = 0.0 μB per cell
crystal system = tetragonal

Entry 5:
*/
If tribalism has overshadowed policy in the minds of many voters, the winner of the next federal election may not depend much on who leads the main parties, but rather could come down to which team can get its vote out the most—and in the right places.
Case in point: In last fall’s federal election, the Conservatives lost 20 electoral districts by 2,000 votes or fewer. Here is the list ranked by the vote margin over the CPC:
Among this list, 15 districts went to the Liberals, the NDP and Bloc took a pair each, and the Greens won Fredericton. (Admittedly, Nunavut is the odd district on this list, since even though the CPC lost by 1,392 votes to the NDP’s Mumilaq Qaqqaq, those votes add up to a significant 14.7 point gap between the NDP and CPC). From this list alone, the CPC lost these 20 districts by a combined margin of fewer than 25,000 votes (compare this with the 6.2 million votes cast for CPC candidates). Had the Conservative ground game been able to flip these districts, the Liberals and Conservatives would have finished one seat apart in the final tally. Trudeau’s minority would have been much less stable and Andrew Scheer would probably still be CPC leader.
Misplaced data records
~~~
This record from Alexandria via LeMat-Bulk describes MgVZn6 after structural relaxation. The functional is PBE.

a b c (Å): 3.8821 3.8821 8.0661
angles (deg): 90.00 90.00 90.00
Fractional coordinates of all 8 atoms:
Mg 0.0000 0.0000 0.0000
V 0.0000 0.0000 0.5000
Zn 0.0000 0.5000 0.2600
Zn 0.0000 0.5000 0.7400
Zn 0.5000 0.0000 0.2600
Zn 0.5000 0.0000 0.7400
Zn 0.5000 0.5000 0.0000
Zn 0.5000 0.5000 0.5000

Magnetization (μB/f.u.): 1.3
VASP energy (eV per formula unit): -18.4
N(E_F) (states/eV per atom): 0.4261
Space group: No. 123
E_form (eV per atom): -0.01

~~~~~

No. 1
The following is a DFT calculation (PBE-GGA) of a relaxed structure of ReIrRu2.

## Properties
E_form	0.0379	eV/atom
symmetry	R3m, No. 160

Cell: 9.0087 9.0087 9.0087 Å, 17.46 17.46 17.46°
Last column: nearest neighbours and their distance in Å.
Positions (direct):
Ir 0.4999 0.4999 0.4999  3 Re 2.72, 6 Ir 2.73, 3 Ru 2.74
Re 0.7497 0.7497 0.7497  3 Ir 2.72, 3 Ru 2.73, 6 Re 2.73
Ru 0.9995 0.9995 0.9995  9 Ru 2.69-2.73, 3 Re 2.73
Ru 0.2509 0.2509 0.2509  9 Ru 2.69-2.73, 3 Ir 2.74



No. 2
The following is a DFT calculation (PBE-GGA) of a relaxed structure of ReTe2IrRu.

## Properties
E_form (uncorrected)	1.855	eV per atom
symmetry	P4/mmm, No. 123

Cell: 5.1228 4.7362 5.1228 Å, 90.00 90.00 90.00°
Last column: nearest neighbours and their distance in Å.
Positions (direct):
Re 0.0000 0.5000 0.0000  2 Ir 2.37
Ir 0.0000 0.0000 0.0000  2 Re 2.37, 4 Te 2.56
Te 0.0000 0.0000 0.5000  2 Ir 2.56
Te 0.5000 0.0000 0.0000  2 Ir 2.56
Ru 0.5000 0.5000 0.5000  8 Te 3.49, 4 Re 3.62



No. 3
The following is a DFT calculation (PBE-GGA) of a relaxed structure of ReIrRuW.

## Properties
E_form	-0.1461	eV/atom
symmetry	Pmmm, No. 47

Cell: 3.8893 3.9059 3.8979 Å, 90.00 90.00 90.00°
Last column: nearest neighbours and their distance in Å.
Positions (direct):
Re 0.5000 0.5000 0.0000  4 Ir 2.75, 4 Ru 2.76, 4 W 2.76
Ir 0.0000 0.5000 0.5000  4 Re 2.75, 4 W 2.76, 4 Ru 2.76
Ru 0.0000 0.0000 0.0000  4 W 2.75, 4 Re 2.76, 4 Ir 2.76
W 0.5000 0.0000 0.5000  4 Ru 2.75, 4 Ir 2.76, 4 Re 2.76



No. 4
The following is a DFT calculation (PBE-GGA) of a relaxed structure of ReIr2S.

## Properties
E_form (uncorrected)	0.542	eV per atom
symmetry	I-42d, No. 122

Cell: 5.5642 5.5642 6.5286 Å, 64.78 64.78 90.00°
Last column: nearest neighbours and their distance in Å.
Positions (direct):
Re 0.0000 0.0000 0.0000  4 Ir 2.41
Re 0.7500 0.2500 0.5000  4 Ir 2.41
S 0.5000 0.5000 0.0000  4 Ir 2.31
S 0.2500 0.7500 0.5000  4 Ir 2.31
Ir 0.6089 0.1250 0.2500  2 S 2.31, 2 Re 2.41
Ir 0.1411 0.6250 0.2500  2 S 2.31, 2 Re 2.41
Ir 0.3750 0.3911 0.7500  2 S 2.31, 2 Re 2.41
Ir 0.8750 0.8589 0.7500  2 S 2.31, 2 Re 2.41



No. 5
The following is a DFT calculation (PBE-GGA) of a relaxed structure of ReIrS2.

## Properties
E_form (uncorrected)	0.540	eV per atom
symmetry	Fm-3m, No. 225

Cell: 4.2713 4.2713 4.2713 Å, 60.00 60.00 60.00°
Last column: nearest neighbours and their distance in Å.
Positions (direct):
Re 0.0000 0.0000 0.0000  8 S 2.62
~~~
Instead, the Liberals won by a margin of 36 seats and the Conservatives pushed Scheer out the door.
The point of this column isn’t that policy does not matter to Canadian voters. But with political polarization on the rise in Canada, parties will assuredly find that the largest pool of accessible voters cannot be found within your opponents’ ranks, but among Canadians who stayed home on election day—roughly a third of eligible adults. The ground game, and a detailed analysis of precious voter data, may matter far more than many would like to believe.